During 2014, Germany and Spain reformed their copyright laws, with the specific goal of making Google news compensate newspaper publishers for the use of third parties’ copyrightable works. These reforms were based on ancillary rights in Germany, and unwaivable rights in Spain (until [...]Abstract
The European Commission published, in September 2016, a proposal for a new directive regarding copyright and digital society, which included a new right that addressed the needs of press publishers. This directive can be interpreted as a promise to effectively enact such a right. [...]Abstract
Can an article previously published in a journal or newspaper be gathered together with others by the author as an anthology or collection? Can the author perform this action without consulting the publisher, who is the assignee of the economic rights of the work, which include the [...]Abstract
Review of trends in copyright and author rights. The Web has helped to highlight the differences between the Anglo-Saxon (common law) and Latin (civil law) worlds, and at the same time has spurred movement worldwide toward more homogeneous policies between countries. The progress [...]Abstract
The development of the European Digital Library, a project that will give European citizens access to our cultural heritage, raises many questions about this project’s compatibility with copyright protection for authors, which has been under discussion by the European Union in recent [...]Abstract
This review reflects on the activities carried out during 2014 by four professional associations on Library and Information Science: IFLA (International Federation of Library Associations and Institutions), Eblida (European Bureau of Library, Information and Documentation Associations), [...]Abstract
Law and Information are two concepts that need each other, although the complexity of their relationship is not always fully understood. We propose an overview of the main areas where this relationship is more intimate and fundamental. To make this overview more comprehensive we will [...]Abstract
The main characteristics of cloud computing services are explained and the clauses typically included in contracts between suppliers and customers of such services are discussed. Storing data on a cloud service can be more comfortable for an organization and cheaper than local storage, [...]Abstract
• Misplaced data records:
=====
# 1
# Sr2YHg3, optimized geometry, DFT GGA-PBE
# - Formation enthalpy at 0 K: -3.1 eV per formula unit
# - M_tot: 0.0 μB/f.u.
# - N(E_F): 4.63 states/eV per cell
# - Calculated volume: 178.5 Å³/cell
# - Mass density: 8.1 g/cm³
data_Sr2YHg3
_space_group_name_H-M_alt 'P 4/m m m'
_space_group_IT_number 123
_space_group_name_Hall '-P 4 2'
_cell_length_a 3.887
_cell_length_b 3.887
_cell_length_c 11.812
_cell_angle_alpha 90.00
_cell_angle_beta 90.00
_cell_angle_gamma 90.00
loop_
_atom_site_label
_atom_site_fract_x
_atom_site_fract_y
_atom_site_fract_z
Sr1 0.000 0.000 0.175
Y1 0.000 0.000 0.500
Hg1 0.500 0.500 0.000
Hg2 0.500 0.500 0.355

***

# 2
# SrTcRu2, optimized geometry, DFT GGA-PBE
# - Formation enthalpy at 0 K: 3.0 eV per formula unit
# - M_tot: 0.0 μB/f.u.
# - N(E_F): 8.40 states/eV per cell
# - Calculated volume: 150.8 Å³/cell
# - Mass density: 8.5 g/cm³
# - Energy above the lowest structure with this stoichiometry: 26.2 kJ/mol of atoms
data_SrTcRu2
_space_group_name_H-M_alt 'I m m m'
_space_group_IT_number 71
_space_group_name_Hall '-I 2 2'
_cell_length_a 3.188
_cell_length_b 5.177
_cell_length_c 9.138
_cell_angle_alpha 90.00
_cell_angle_beta 90.00
_cell_angle_gamma 90.00
loop_
_atom_site_label
_atom_site_fract_x
_atom_site_fract_y
_atom_site_fract_z
Sr1 0.000 0.000 0.000
Tc1 0.000 0.000 0.500
Ru1 0.000 0.500 0.208

***

# 3
# La2Pr5Y3, optimized geometry, DFT GGA-PBE
# - Formation enthalpy at 0 K: 2.6 eV per formula unit
# - M_tot: 0.0 μB/f.u.
# - N(E_F): 65.66 states/eV per cell
# - Calculated volume: 1439.2 Å³/cell
# - Mass density: 5.8 g/cm³
# - Energy above the lowest structure with this stoichiometry: 8.2 kJ/mol of atoms
data_La2Pr5Y3
_space_group_name_H-M_alt 'I b a m'
_space_group_IT_number 72
_space_group_name_Hall '-I 2 2c'
_cell_length_a 12.366
_cell_length_b 17.590
_cell_length_c 6.616
_cell_angle_alpha 90.00
_cell_angle_beta 90.00
_cell_angle_gamma 90.00
loop_
_atom_site_label
_atom_site_fract_x
_atom_site_fract_y
_atom_site_fract_z
La1 0.084 0.171 0.000
Pr1 0.000 0.500 0.250
Pr2 0.238 0.332 0.000
Pr3 0.247 0.000 0.250
Y1 0.000 0.000 0.250
Y2 0.094 0.332 0.500

***

# 4
# NaNiN, optimized geometry, DFT GGA-PBE
# - M_tot: 0.0 μB/f.u.
# - N(E_F): 3.93 states/eV per cell
# - Calculated volume: 214.4 Å³/cell
# - Mass density: 3.0 g/cm³
# - Formation energy without anion corrections: 0.199 eV/atom
# - Energy above the lowest structure with this stoichiometry: 17.6 kJ/mol of atoms
data_NaNiN
_space_group_name_H-M_alt 'C m c m'
_space_group_IT_number 63
_space_group_name_Hall '-C 2c 2'
_cell_length_a 5.627
_cell_length_b 5.627
_cell_length_c 6.770
_cell_angle_alpha 90.00
_cell_angle_beta 90.00
_cell_angle_gamma 90.00
loop_
_atom_site_label
_atom_site_fract_x
_atom_site_fract_y
_atom_site_fract_z
Na1 0.000 0.001 0.250
Ni1 0.000 0.500 0.250
N1 0.000 0.500 0.000

***

# 5
# KInPb2, optimized geometry, DFT GGA-PBE
# - Formation enthalpy at 0 K: -0.1 eV per formula unit
# - M_tot: 0.0 μB/f.u.
# - N(E_F): 2.49 states/eV per cell
=====
• The data records stop here:
The main characteristics of cloud computing services are explained and the clauses typically included in contracts between suppliers and customers of such services are discussed. Storing data on a cloud service can be more comfortable for an organization and cheaper than local storage, [...]